Some Days are Easier
I think it’s a given really that in life we have some days that are easier than others. Some days that mean that going to work, going to the gym, giving someone support or even just getting out of bed, is easier because you have a spring in your step and the positive head screwed on.
# Molecular data that have nothing to do with the article
/*
CH3NO4S in the gas phase. Source: the Open Molecules 2025 dataset; level of theory: ωB97M-V/def2-TZVPD.

Its HOMO energy (alpha / beta) is -6.8 / -10.7 eV. The value obtained for the relative energy (zero: lowest compared OMol25 entry of this formula, charge and spin) is 3.6282 eV. Its spin multiplicity is 3. As for the expectation value of S²: 2.0104. As for the max |F|: 0.0724 hartree/bohr. The value obtained for the HOMO-LUMO gap (alpha / beta) is 7.3166 / 6.7604 eV.

XYZ file:
```
10
Properties=species:S:1:pos:R:3:forces:R:3:lowdin_spin:R:1
C 1.64442 -0.08392 -0.14021 0.5379 0.0335 -0.3767 0.20
N -2.06274 -0.54275 -0.00899 -0.6489 -0.0841 -0.8068 0.10
O -3.09728 -0.23485 -0.48271 -1.9107 0.3352 -0.2269 0.04
O -0.98221 0.15955 -0.57925 -0.2586 -1.0390 -0.5348 0.24
O 0.27102 1.80295 1.03052 -0.7375 1.2331 2.7357 0.55
O -1.82303 -1.35895 0.81014 0.6479 -0.8807 1.3392 0.06
S 0.38033 1.24433 -0.28789 3.0777 0.0908 -2.0904 0.79
H 2.61440 0.39193 -0.04195 -0.0036 0.1501 0.0121 0.02
H 1.61475 -0.69061 -1.03807 -0.1980 0.0511 -0.1241 0.00
H 1.44034 -0.68768 0.73842 -0.5063 0.1100 0.0727 0.01
```
Positions in Å, forces in eV/Å.


# 1
C6H25N2O5 | ωB97M-V/def2-TZVPD

Each line ends with the natural charge from an NBO analysis.
Atoms and positions in Å:
N: 0.220 0.460 -0.418  -0.749
C: 0.258 -0.058 1.031  -0.050
C: -1.222 -0.562 1.357  -0.497
C: -1.852 -1.637 0.529  -0.224
C: -3.191 -1.870 0.407  -0.371
C: 0.478 1.229 2.050  -0.230
N: 1.643 1.932 1.634  -0.655
C: 2.760 0.988 2.022  -0.450
H: 0.924 1.227 -0.536  0.440
H: 0.719 -0.261 -0.820  0.463
H: -0.738 0.688 -0.878  0.495
H: 1.082 -0.707 1.330  0.232
H: -1.756 0.448 1.579  0.236
H: -1.223 -0.904 2.406  0.270
H: -1.168 -2.355 -0.030  0.194
H: -3.298 -2.877 -0.076  0.208
H: -4.077 -1.323 0.696  0.228
H: -0.357 2.016 2.184  0.222
H: 0.603 0.586 2.946  0.182
H: 1.870 2.800 2.296  0.389
H: 2.636 -0.039 1.746  0.191
H: 3.666 1.499 1.484  0.214
H: 3.000 1.097 3.145  0.206
H: 1.689 -0.859 -2.558  0.505
H: 2.959 -0.221 -1.757  0.498
O: 2.167 -0.838 -1.697  -0.971
H: -1.151 -0.865 -3.125  0.496
H: -1.481 -1.533 -1.787  0.504
O: -0.749 -0.935 -2.198  -0.994
H: -2.827 2.104 -2.816  0.491
H: -1.269 1.929 -2.844  0.482
O: -2.029 1.975 -2.507  -0.969
H: 0.901 -3.387 2.971  0.480
H: 0.211 -3.443 1.543  0.469
O: 0.001 -3.235 2.526  -0.943
H: 1.085 2.968 -2.393  0.484
H: 0.992 2.477 -3.804  0.496
O: 0.683 2.240 -2.848  -0.971

Atoms 1-2, force components in eV/Å:
N -0.2 2.3 2.5
C -3.8 3.5 1.4

Computed properties:
HOMO energy ... -0.46132 Ha
M ... 205.28 g mol⁻¹
Total charge ... +1
Relative energy (zero: lowest compared OMol25 entry of this formula, charge and spin) ... 583.8 kJ/mol
Kohn-Sham gap ... 9.8 eV

# 2
C6H25O8 | ωB97M-V/def2-TZVPD

Each line ends with the natural charge from an NBO analysis.
Atoms and positions in Å:
C: 1.440 1.999 -0.733  -0.082
O: 0.105 2.486 -0.808  -0.827
C: 1.696 1.173 -2.001  -0.425
C: 0.673 0.014 -2.031  -0.459
C: 0.755 -1.092 -1.034  -0.180
C: 0.403 -2.338 -1.390  -0.199
*/
# End of the molecular data
This couldn’t be truer on the mat too, where I’ve recently had some very heavy, tired practices. A practice where even from the beginning, I find my arms shaking and unwilling to support my body, and where any forward folds turn a bit lazy because of everything just feels that much tighter. I usually start my practice a little tired but when it doesn’t get better by the start of Surya Namaskara B, I kind of know what sort of ride I’m in for.
____________
[1]
Entry from the Open Molecules 2025 dataset: a cluster of 4 separate species, C19H33FNO14P2 in total (the ωB97M-V functional and the def2-TZVPD basis).

Values from the calculation:
net charge = +1
Kohn-Sham gap = 6.526 eV

Last column: Mulliken charge in e.
Cartesian coordinates (Å):
O1 0.975 2.762 5.042  -0.462
C1 1.144 2.696 3.797  0.190
O2 2.302 3.324 3.262  -0.310
P1 2.250 3.460 1.557  0.998
O3 2.427 2.136 0.810  -0.558
O4 0.863 4.334 1.107  -0.416
O5 3.594 4.436 1.141  -0.560
C2 0.061 1.864 2.978  0.487
C3 0.460 0.416 2.529  -0.461
C4 -0.594 -0.424 1.767  0.082
F1 -0.273 -1.751 1.370  -0.099
N1 -1.908 0.048 1.460  0.157
C5 -2.307 1.396 1.857  -0.542
C6 -1.388 2.378 2.624  0.633
C7 -1.798 3.842 3.115  -0.584
P2 -3.385 4.532 2.365  1.023
O6 -3.665 5.865 3.102  -0.650
O7 -4.764 3.554 2.601  -0.518
O8 -3.176 4.985 0.711  -0.482
H1 0.817 5.089 1.741  0.355
H2 3.596 4.435 0.125  0.503
H3 1.481 -0.055 2.739  0.388
H4 -2.595 -0.570 0.968  0.278
H5 -3.383 1.681 1.575  0.400
H6 -1.906 3.869 4.254  0.429
H7 -0.951 4.577 2.855  0.091
H8 -4.536 2.714 3.062  0.363
H9 -2.664 4.282 0.244  0.355
O9 -3.259 -0.057 -0.655  -0.687
C8 -3.810 -0.716 -1.525  0.762
O10 -3.612 -0.421 -2.810  -0.337
C9 -4.066 -1.231 -3.910  -0.395
C10 -5.505 -0.913 -4.263  -0.961
C11 -4.782 -1.803 -1.162  -1.040
H10 -3.905 -2.292 -3.707  0.373
H11 -3.425 -0.979 -4.759  0.287
H12 -6.181 -1.133 -3.435  0.278
H13 -5.824 -1.491 -5.133  0.361
H14 -5.616 0.150 -4.487  0.312
H15 -5.757 -1.356 -0.955  0.279
H16 -4.418 -2.309 -0.265  0.323
H17 -4.887 -2.571 -1.925  0.359
O11 -0.304 -8.628 1.376  -0.551
C12 0.380 -7.632 1.379  0.704
O12 -0.145 -6.452 1.764  -0.384
C13 0.616 -5.255 1.971  -0.458
C14 0.827 -4.512 0.667  -0.741
C15 1.795 -7.675 0.872  -0.868
H18 1.554 -5.471 2.489  0.379
H19 0.027 -4.632 2.648  0.289
H20 1.398 -5.107 -0.048  0.314
H21 1.359 -3.574 0.839  0.234
H22 -0.135 -4.290 0.196  0.238
H23 1.787 -7.603 -0.218  0.237
H24 2.240 -8.626 1.168  0.305
H25 2.434 -6.896 1.284  0.309
O13 4.167 4.208 -1.300  -0.695
C16 4.390 3.171 -1.897  0.883
O14 5.448 2.424 -1.568  -0.324
C17 5.705 1.107 -2.084  -0.371
C18 6.417 1.175 -3.419  -0.989
C19 3.538 2.763 -3.064  -1.073
H26 4.787 0.517 -2.124  0.318
H27 6.355 0.616 -1.355  0.330
H28 5.809 1.676 -4.175  0.283
H29 6.658 0.172 -3.778  0.360
H30 7.343 1.748 -3.329  0.307
H31 3.880 3.291 -3.957  0.299
H32 2.505 3.041 -2.852  0.279
H33 3.535 1.692 -3.252  0.377



[2]
Entry from the Open Molecules 2025 dataset: a structure of composition C12H30AgBr2N2O4 (the ωB97M-V functional and the def2-TZVPD basis).

Values from the calculation:
spin multiplicity = 2
ΔE to the lowest compared entry with this formula, charge and spin = 34.3 kJ/mol
Kohn-Sham gap (alpha / beta) = 8.837 / 5.719 eV
expectation value of S² = 0.7575

Last column: Löwdin spin population.
Cartesian coordinates (Å):
Ag1 -1.436 0.065 -0.030  0.382
Br1 -3.399 1.733 -0.688  0.314
Br2 -2.004 -0.530 2.612  0.215
C1 -1.117 0.389 -3.370  0.001
O1 -0.410 0.546 -2.151  0.019
____________
So much for the data records =
When tiredness in both body and mind come in, it can be difficult to snap out of it because remaining tired is easier. Similarly when it comes to deeper emotional work, some days are easier. There are some days where I feel so content and happy, others where I wish things were entirely different, and then others where I’m not even sure of what I want! On these days, I try (very hard) to remind myself that firstly, its ok not to be sure and secondly, that all you can do is remain open to everything. Part of my own meditation is to write things down in a notebook I have. It acts as a non-judgemental outlet for me to clear some foggy confusion that’s been whirring around my head for a bit too long.
~~~
1.
Below is a cluster of 2 separate species, C3H4IN in total at a distorted geometry, with properties calculated with wB97M-V/def2-TZVPD.

```
9
Properties=species:S:1:pos:R:3:forces:R:3:mulliken_charge:R:1
H -2.77494 0.78054 -1.15777 -0.6 0.2 0.4 0.28
C -2.17892 0.20600 -0.46263 0.1 -1.4 -0.4 -0.35
H 1.91489 0.28773 0.59907 -0.9 3.2 0.0 -0.01
C 2.05994 -0.69107 0.36607 1.2 -3.3 1.4 0.02
C -0.91690 0.48545 -0.31049 0.6 0.1 1.3 -0.27
H 3.11010 -0.92418 0.74069 -0.8 -0.6 -1.0 0.24
N 1.14575 -1.51722 0.19648 0.6 0.6 -0.4 -0.30
I 0.15406 2.16242 0.09517 -0.2 0.4 -0.6 0.18
H -2.51396 -0.78966 -0.06659 0.1 0.9 -0.8 0.22
```
Positions in Å, forces in eV/Å.

Properties
Net charge: 0
ΔE to the lowest compared entry with this formula, charge and spin: 475.9 kJ/mol
DFT total energy: -12760.5891 eV
Frontier orbital gap (alpha / beta): 8.1334 / 8.7135 eV

---

2.
Below is a structure of composition C10H30IO10 at a distorted geometry, with properties calculated with wB97M-V/def2-TZVPD.

```
51
Properties=species:S:1:pos:R:3:forces:R:3:mulliken_charge:R:1
C 0.22397 2.07099 -1.21493 -0.6 0.1 -1.3 -0.12
H -4.92577 -1.09327 -3.01415 0.1 0.0 0.1 0.30
H -3.39266 -0.27069 -1.68369 0.5 0.3 -0.2 0.20
H -1.81506 -1.78752 3.87707 0.3 0.6 0.8 0.37
H -2.41979 -3.22198 -1.41553 -0.8 0.0 -0.8 0.32
H 2.56602 -0.59379 -3.24332 0.4 -0.9 -0.6 0.39
H 1.21897 3.69881 -2.17784 -0.3 0.0 -0.7 0.33
H 0.80885 -1.95507 -4.40214 -0.6 -0.5 0.0 0.35
H 1.52385 -0.27929 -2.05050 0.1 -0.8 -0.1 -0.16
H -0.54539 2.01357 -0.44494 -0.1 -0.7 0.2 0.26
H -0.56985 3.97238 -1.69461 -0.2 -0.6 -1.8 0.30
O 0.63313 3.07734 1.34825 0.9 -3.6 6.2 -0.57
H 0.32848 -0.31389 -4.36069 0.2 0.6 0.3 0.33
H -0.96476 -2.39302 2.58412 1.1 -1.1 0.8 0.29
O 1.60654 0.32023 2.26651 0.9 2.1 2.1 -0.40
H 1.32298 -0.38015 1.67433 0.5 0.4 -0.4 -0.47
O 1.39484 1.39133 -0.97139 2.4 3.5 -0.9 -0.72
C -3.69066 -1.30601 -1.51821 1.9 0.3 0.5 -0.39
C -0.93963 -1.54879 3.27316 -0.3 0.2 -2.2 -0.58
H 1.43468 2.64939 3.23053 -0.1 -0.3 0.0 0.28
C 0.47509 -1.28038 3.90874 -1.2 -1.6 -1.4 0.16
C 1.78060 2.73050 2.20007 0.0 -1.3 -1.0 -0.59
C 0.40468 3.53819 -1.47128 -0.4 0.8 0.1 -0.81
O 0.93085 -2.50304 4.48362 0.0 -0.5 0.9 -0.58
H 1.52009 -2.39333 -1.39961 -0.1 -0.4 0.4 0.37
H 0.53887 -0.43492 4.59376 -0.1 0.0 -0.1 0.32
H 2.46125 3.58183 2.19294 0.1 -0.2 -0.5 0.38
H -1.03990 -0.87411 1.40965 -0.4 0.2 1.0 -0.31
C 1.70087 -1.06886 -2.78080 0.1 -0.1 -0.4 -0.02
H -1.53090 -1.80276 -1.91396 -3.7 -1.6 1.6 -0.23
H -0.58736 -1.23272 -2.07666 1.9 1.2 -0.2 -1.03
H 2.40412 1.21745 0.63899 0.0 0.9 0.3 0.29
O 1.94146 -2.41953 -2.26179 0.6 1.9 -1.1 -0.56
O 0.64833 4.32344 -0.36179 1.1 3.4 -2.5 -0.70
C 2.38477 1.34190 1.72169 0.0 0.5 -0.2 -0.17
H 1.14097 -1.15613 3.05477 -0.5 -0.1 1.3 0.41
H -0.11793 2.54475 1.62000 -0.2 -0.3 0.0 0.29
H 3.43327 1.18745 1.97644 0.2 0.4 0.7 0.31
O -0.67294 -1.49514 -2.99612 2.0 0.5 -3.6 -0.43
H 1.20530 0.59608 -0.46816 0.7 1.5 -0.1 -0.06
H -1.10044 -1.63358 0.13362 -1.9 -1.2 -0.2 0.50
~~~
Remaining open, in head and heart, is what I’ve learnt to be key during some confusing and difficult times. Giving yourself space to be so confused is a kind act to yourself, but also, staying open so that you give yourself a real chance of wiggling out of that tight spot is equally important.
When I practice, one of the things I consistently have to remind myself is to be open. Approach each asana like it was anew, like I’ve never had it before, particularly those challenging gateway postures that always become harder if I’m tired and going through things. This sort of attitude has given me the space I need to mess up, and try again using different methods with patience.
At the end of the day, only you can make yourself feel better and it’s how you go about changing your attitude to promote positivity which is key. Those hard, tiring, achey days can be made easier if you can give yourself a slightly lighter perspective. I don’t expect myself to do a complete 180 and love everything that I see on those days, I just try to feel lighter.